[Exercise]
Say how many lines of the calculation results further down hold the word "Ta4BiAsN2", as a bare number.
[Listing]
No. 1
## LiTmPd (PBE)

Data for crystalline LiTmPd at its relaxed geometry.

Properties
- total DFT energy (no corrections) (eV for the cell shown) = -12.89

a = 4.553 Å, b = 4.553 Å, c = 4.553 Å
α = 60.00°, β = 60.00°, γ = 60.00°
Element x y z (fractional)
Li1 0.250 0.250 0.250
Pd1 0.000 0.000 0.000
Tm1 0.750 0.750 0.750

No. 2
## BaReAu (PBE)

Data for crystalline BaReAu at its relaxed geometry.

Properties
- total DFT energy (no corrections) (eV for the cell shown) = -13.87

a = 4.906 Å, b = 4.906 Å, c = 4.906 Å
α = 60.00°, β = 60.00°, γ = 60.00°
Element x y z (fractional)
Au1 0.250 0.250 0.250
Ba1 0.750 0.750 0.750
Re1 0.000 0.000 0.000

No. 3
## NdYSn2Pt4 (PBE)

Data for crystalline NdYSn2Pt4 at its relaxed geometry.

Properties
- total DFT energy (no corrections) (eV for the cell shown) = -51.24

a = 4.597 Å, b = 4.597 Å, c = 9.202 Å
α = 90.00°, β = 90.00°, γ = 120.00°
Element x y z (fractional)
Nd1 0.000 0.000 0.000
Pt1 0.667 0.333 0.167
Pt2 0.000 0.000 0.342
Pt3 0.000 0.000 0.658
Pt4 0.667 0.333 0.833
Sn1 0.333 0.667 0.256
Sn2 0.333 0.667 0.744
Y1 0.667 0.333 0.500

No. 4
## Ta4BiAsN2 (PBE)

Data for crystalline Ta4BiAsN2 at its relaxed geometry.

Properties
- total DFT energy (no corrections) (eV for the cell shown) = -75.59

a = 3.362 Å, b = 3.362 Å, c = 12.617 Å
α = 90.00°, β = 90.00°, γ = 120.00°
Element x y z (fractional)
As1 0.000 0.000 0.000
Bi1 0.667 0.333 0.500
N1 0.333 0.667 0.236
N2 0.333 0.667 0.764
Ta1 0.667 0.333 0.146
Ta2 0.000 0.000 0.312
Ta3 0.000 0.000 0.688
Ta4 0.667 0.333 0.854

No. 5
## Be2Nb4PdSe12 (PBE)

Data for crystalline Be2Nb4PdSe12 at its relaxed geometry.

Properties
- total DFT energy (no corrections) (eV for the cell shown) = -106.48

a = 7.102 Å, b = 7.102 Å, c = 19.265 Å
α = 109.82°, β = 109.82°, γ = 28.40°
Element x y z (fractional)
Be1 0.056 0.056 0.283
Be2 0.944 0.944 0.717
Nb1 0.512 0.512 0.149
Nb2 0.684 0.684 0.429
Nb3 0.316 0.316 0.571
Nb4 0.488 0.488 0.851
Pd1 0.000 0.000 0.000
Se1 0.879 0.879 0.068
Se2 0.138 0.138 0.123
Se3 0.415 0.415 0.234
Se4 0.673 0.673 0.282
Se5 0.032 0.032 0.391
Se6 0.331 0.331 0.442
Se7 0.669 0.669 0.558
Se8 0.968 0.968 0.609
Se9 0.327 0.327 0.718
Se10 0.585 0.585 0.766
Se11 0.862 0.862 0.877
Se12 0.121 0.121 0.932

No. 6
## SmBPt (PBE)

Data for crystalline SmBPt at its relaxed geometry.

Properties
- total DFT energy (no corrections) (eV for the cell shown) = -15.64

a = 4.544 Å, b = 4.544 Å, c = 4.544 Å
α = 60.00°, β = 60.00°, γ = 60.00°
Element x y z (fractional)
B1 0.250 0.250 0.250
Pt1 0.750 0.750 0.750
Sm1 0.000 0.000 0.000

No. 7
## LuCo2Cu (PBE)

Data for crystalline LuCo2Cu at its relaxed geometry.
[Written answer]
2